
Solex / News: Recent posts

Solex 0.5.3rc1 released !

At last !

Solex is a graphical user-friendly Eclipse plugin providing non regression and stress tests of Web application servers. Test scripts are recorded from any internet browser thanks to a built-in HTTP proxy and can be fully edited in a dedicated GUI.

o Solex-0.5.3rc1
- Fully Eclipse 3.1.1 compliant.
- Internally uses Jakarta HTTPClient 3.0 final.
- Complete rework of the handling of multi-parts bodies.
+ Attached files are properly handled.
+ Bodies are properly converted into HTTPClient formalism.
+ The boundary is properly parsed.
+ Names and filenames are properly parsed and used
- Fixed URL parsing failing on complex URLs.
- Edit button in the constants dialog window.
- Fixed handling of headers.
+ Unless necessary, the headers are those of the browser and no longer those of
Jakarta's HTTPClient.
+ Headers with the same name are properly handled.
- Possible deadlock during recording fixed.
- SSL support during playback (see Preferences to enable it).
- The CONNECT HTTP method no longer crashes Solex.
- The POST method should finally works under all circumstances.
- Added numerous debug messages. Turn debug mode on in the Preferences and use the output to send us
bug reports. You need to restart Eclipse to see the effect.
- Now use Commons Logging library.
- Javadoc improvement.... read more

Posted by Cédric Vaniez 2006-01-05

Solex 0.5.2beta released !

This is a beta release, don't expect it to work much.

o Solex-0.5.2b
- Fully Eclipse 3.0 compliant, at last.
- Internally uses Jakarta HTTPClient 3.0b1.
- Reworked cookies management.
- Transparent connections through HTTP proxies.
- Beta as there are still some issues.

Posted by Cédric Vaniez 2005-01-21

Solex 0.5.1 released.

At last, the Eclipse 3.0 compatible Solex version is out.

Solex is a Web application testing tool built as a plug-in for the Eclipse IDE. It provides functions through a friendly GUI to record a browser session, adjust it according to various parameters and replay it later typically in order to ensure non regression of the application's behaviour.

Posted by Cédric Vaniez 2004-08-02

Solex 0.5.0 released !

Solex is a Web application testing tool built as a plug-in for the Eclipse IDE. It provides functions to record a client session, adjust it according to various parameters and replay it later typically in order to ensure non regression of the application's behaviour.

o Solex-0.5
- Better compliance with HTTP 1.1. Correct numerous issues (coockies, Host header, etc).
- Better GUI
+ Assertion dialog refactored.
+ Added a confirmation dialog before clearing a session.
+ Labels of various HTTP session elements (assertion, rules).
+ Selecting a result in the Playback Results view highlights the corresponding request in the session editor.
+ Double click is responsive on most session elements, allowing fast edition.
+ New icons
- New contextual list of available variables at any point in a session with previewing of values.
- New body views: XHTML in a tree and formatted text HTML.
- New Replacement rule based on an XPath expression instead of a regular expression.
The XHTML view provides an XPath assistant and a real-time previewer.
- Refactoring of the tree session editor: faster, simpler and little memory consumption.
- Refactoring of the player to minimize memory consumption.
- Refactoring of the session save code: faster, simpler and minimized memory consumption.
- Additionnal statistics in the Playback Results view: time to first byte and time to last byte.
- Rules and assertions are now fully editable, with dedicated dialogs.
- Updated tutorial.
- Bug fixed on extraction rules on an HTTP header.
- Preview was broken on negative assertions.
- When clearing a session, the constants are properly erased.
- Now use the XML parser delivered with Eclipse.
- Proper handling of multi-parts bodies.
- Preview of assertions against a variable available.
- Bug fixed in the session save code: some assertions could be lost.
- Requests to unknown hosts are now properly discarded.
- Clearing a huge session is now instantaneous and must be confirmed before proceeding.

Posted by Cédric Vaniez 2004-02-24

Solex 0.4.3 released


o Solex-0.4.3
- Fix bug: Assertion preview was broken.
- Fix bug: Assertion using a RegExp was broken.
- Fix bug: Variables extracted from Headers or Parameters didn't show up in Assertion addition dialogs
until a save/load.
- Enhancement: Extracted variables are immediately available to Assertions, even in the same body.
- Enhancement: Added an Ant task to run Solex stand-alone. (Thanks to David Barth,

**Data records that have nothing to do with the text:**
[1]
A plane-wave DFT calculation with PBE-GGA was carried out for a relaxed MgNp2Si4Pt3 crystal.

- energy relative to the elements, uncorrected (eV per atom) = -0.638
- M_tot (μB/cell) = 7.5
- volume (Å³ per atom) = 17.92

Cell lengths 4.163, 4.163, 10.337 Å; angles 90.00, 90.00, 90.00 degrees
Element x y z (fractional)
Mg 0.000 0.000 0.000
Np 0.000 0.500 0.744
Np 0.500 0.000 0.256
Si 0.000 0.000 0.500
Si 0.000 0.500 0.149
Si 0.500 0.000 0.851
Si 0.500 0.500 0.500
Pt 0.000 0.500 0.381
Pt 0.500 0.000 0.619
Pt 0.500 0.500 0.000

[2]
A plane-wave DFT calculation with PBE-GGA was carried out for a relaxed MgNpZn2Pt2 crystal.

- M_tot (μB/cell) = 4.1
- energy (eV/atom) = -5.354
- volume (Å³ per atom) = 18.31

Cell lengths 4.416, 4.416, 6.505 Å; angles 90.00, 90.00, 120.00 degrees
Element x y z (fractional)
Mg 0.000 0.000 0.000
Np 0.000 0.000 0.500
Zn 0.333 0.667 0.190
Zn 0.667 0.333 0.810
Pt 0.333 0.667 0.759
Pt 0.667 0.333 0.241

[3]
A plane-wave DFT calculation with PBE-GGA was carried out for a relaxed Rb4MgNp3S8 crystal.

- energy relative to the elements, uncorrected (eV per atom) = -1.346
- M_tot (μB/cell) = 11.0
- volume (Å³ per atom) = 27.55

Cell lengths 8.980, 8.980, 8.980 Å; angles 54.05, 54.05, 54.05 degrees
Element x y z (fractional)
Rb 0.000 0.000 0.000
Rb 0.000 0.500 0.500
Rb 0.500 0.000 0.500
Rb 0.500 0.500 0.000
Mg 0.500 0.500 0.500
Np 0.000 0.000 0.500
Np 0.000 0.500 0.000
Np 0.500 0.000 0.000
S 0.230 0.230 0.230
S 0.232 0.728 0.728
S 0.272 0.272 0.768
S 0.272 0.768 0.272
S 0.728 0.232 0.728
S 0.728 0.728 0.232
S 0.768 0.272 0.272
S 0.770 0.770 0.770

[4]
A plane-wave DFT calculation with PBE-GGA was carried out for a relaxed RbMgNpS4 crystal.

- energy relative to the elements, uncorrected (eV per atom) = -1.153

Posted by Cédric Vaniez 2003-05-20

Solex 0.4.2 released

Fixed a bug under Linux. Assertion addition dialog window was broken.
Please download the new release.

Posted by Cédric Vaniez 2003-04-22

**Inserted here: data records**
........
1.
## TlMoSe (PBE)

Data for TlMoSe after structural relaxation.

extended XYZ file:
```
3
Lattice="-4.462 -0.065 -1.225 -1.673 -3.545 -2.460 -2.897 -3.022 1.972" Properties=species:S:1:pos:R:3 pbc="T T T"
Tl -4.516 -3.316 -0.856
Se 0.000 0.000 0.000
Mo -6.774 -4.974 -1.285
```

Values from the calculation:
ΔE_f (raw)	0.7201	eV per atom
polymorph energy (0 for the lowest one)	666	meV per atom
spin magnetization	1.9	μB per formula unit

***

2.
## ZrZn (PBE)

Data for ZrZn after structural relaxation.

extended XYZ file:
```
32
Lattice="-5.087 -2.197 -4.372 4.993 -6.416 -2.584 -3.926 -6.137 7.652" Properties=species:S:1:pos:R:3 pbc="T T T"
Zr -4.568 -9.068 1.325
Zr -2.954 -6.162 0.836
Zr 1.552 -1.995 -0.804
Zr -1.066 -8.588 -0.141
Zr 3.440 -4.421 -1.781
Zr -1.996 -6.781 -2.816
Zr -1.600 -2.312 -2.675
Zr 1.505 -6.302 -4.282
Zr -0.108 -9.207 -3.793
Zr 2.086 -8.271 1.730
Zr -6.455 -6.642 2.302
Zr -1.416 -8.751 3.196
Zr -1.949 -2.475 0.662
Zr 0.472 -11.177 2.219
Zr -1.019 -4.282 3.337
Zr -0.061 -4.901 -0.315
Zn -3.687 -8.099 -1.093
Zn -0.867 -0.374 -0.745
Zn -2.682 -4.412 -1.267
Zn -2.101 -6.382 4.745
Zn -4.220 -1.823 -3.627
Zn 2.358 -6.521 -0.373
Zn -0.914 -4.681 -4.223
Zn -2.148 -10.688 1.267
Zn 0.820 -3.932 -2.733
Zn -4.415 -5.161 -2.757
Zn -3.882 -11.437 -0.223
Zn 0.624 -7.270 -1.863
Zn -5.373 -4.542 0.895
Zn -3.640 -3.793 2.385
Zn -3.835 -7.131 3.255
Zn -0.334 -6.651 1.789
```

Values from the calculation:
spin magnetization	0.0	μB per formula unit
formation energy from the elements	-0.12	eV/f.u.

----------

# AlCdSn2As4

AlCdSn2As4 after structural relaxation (GGA-PBE, Alexandria).

* calculated formation energy: -1.259 eV per formula unit
* magnetic moment: 0.0 μB per cell
* mass density: 4.915 g cm⁻³

The structure in POSCAR format:
```
AlCdSn2As4
1.0
0.000 4.531 5.856
4.306 0.000 5.856
4.306 4.531 0.000
Al Cd Sn As
1 1 2 4
Cartesian
0.000 0.000 0.000
4.306 4.531 5.865
2.153 2.266 2.900
6.460 6.797 8.756
4.306 2.146 4.537
6.576 4.531 7.290
4.306 6.916 4.537
2.037 4.531 7.290
```

----------

Entry 1:
The following is a DFT calculation (PBE) of Rb2TaWN4 after structural relaxation.

- Mass density: 6.3 g cm⁻³
- Space group: I-4 (82)
- Total moment: 0.073 μB per formula unit
- Raw total energy: -8.142 eV per atom

```
data_Rb2TaWN4
_chemical_formula_sum 'Rb2 Ta1 W1 N4'
_space_group_name_H-M_alt 'P 1'
_space_group_IT_number 1
_space_group_name_Hall 'P 1'
_cell_length_a 6.084
_cell_length_b 6.084
_cell_length_c 6.084
_cell_angle_alpha 120.83
_cell_angle_beta 120.83
_cell_angle_gamma 88.58
loop_
_atom_site_label
_atom_site_type_symbol
_atom_site_fract_x
_atom_site_fract_y
_atom_site_fract_z
Rb1 Rb 0.250 0.750 0.500
Rb2 Rb 0.500 0.500 0.000
N1 N 0.381 0.209 0.339
N2 N 0.791 0.130 0.172
N3 N 0.870 0.042 0.661
N4 N 0.958 0.619 0.828
Ta1 Ta 0.000 0.000 0.000
W1 W 0.750 0.250 0.500
```

Entry 2:
The following is a DFT calculation (PBE) of CdAg2SnSe2S2 after structural relaxation.

- Mass density: 5.2 g cm⁻³
- E above lowest polymorph: 0.002 eV/atom
........
**The data records stop here**

Solex 0.4.1 released

The assertion against a variable feature was broken in 0.4.
Please, download this fixed version.

Posted by Cédric Vaniez 2003-04-10

Solex 0.4.0 released !

Get it from the download area now :)
Solex works with the last Eclipse 2.1 Release, Build id: 200303272130.

Posted by Cédric Vaniez 2003-04-09

Solex 0.3.0 released

Get it from the download area.

Posted by Thibault Weintraub 2002-08-30

Materials data, as found in the file:
'''
Here is an optimized crystal structure of LiAsPS2 from Alexandria via LeMat-Bulk. Energies are from PBE.

Unit cell a=4.8824 b=4.8824 c=4.7288 alpha=90.00 beta=90.00 gamma=90.00
With the nearest neighbours (Å) after each atom.
Fractional coordinates of all 5 atoms:
S  0.0000  0.5000  0.0000  2 As 2.44
S  0.5000  0.0000  0.0000  2 As 2.44
Li  0.5000  0.5000  0.5000  8 S 3.40, 4 P 3.45
As  0.0000  0.0000  0.0000  2 P 2.36, 4 S 2.44
P  0.0000  0.0000  0.5000  2 As 2.36

Crystal system: tetragonal
ΔE_f (raw), eV per atom: 0.360

***

Here is an optimized crystal structure of LiAsP2S from Alexandria via LeMat-Bulk. Energies are from PBE.

Unit cell a=4.7363 b=4.9738 c=4.7363 alpha=90.00 beta=90.00 gamma=90.00
With the nearest neighbours (Å) after each atom.
Fractional coordinates of all 5 atoms:
Li  0.5000  0.5000  0.5000  4 S 3.35, 8 P 3.43
P  0.0000  0.0000  0.5000  2 As 2.37
P  0.5000  0.0000  0.0000  2 As 2.37
S  0.0000  0.5000  0.0000  2 As 2.49
As  0.0000  0.0000  0.0000  4 P 2.37, 2 S 2.49

Crystal system: tetragonal
ΔE_f (raw), eV per atom: 0.589

***

no.,magnetization (μB per atom),E above lowest polymorph (meV per atom)
1,0.237,0.0
2,0.090,0.0


Material: Be2FeNi
Method: DFT, PBE-GGA
State: relaxed

Properties
D(E_F) in states/eV/atom: 0.56
Electronic total energy in eV per atom: -5.7406
Energy above the most stable polymorph in this dataset in meV per atom: 0
Calculated formation energy in meV/atom: -316

Cell: 2.570 2.570 5.501 Å, 90.00 90.00 90.00°
Sites, in units of the cell vectors:
Be (0.000, 0.000, 0.237)
Be (0.000, 0.000, 0.763)
Fe (0.500, 0.500, 0.500)
Ni (0.500, 0.500, 0.000)
'''

Solex 0.2.0 released

The new version of Solex plugin is now available for download.

Posted by Thibault Weintraub 2002-06-20

1st release

First release is now available.

Posted by Thibault Weintraub 2002-05-29